This function visualizes the straight skeleton derived from a given polygon. The original polygon (with holes if present) is plotted in black, while the straight skeleton is plotted in red.
- skeleton
A list object of class 'rayskeleton' containing the straight skeleton details. It should have 'nodes' and 'links' as its primary components.
- use_arrow
Default `TRUE`. A logical value indicating whether or not to use arrows to represent the links of the straight skeleton. Default is TRUE.
- use_points
Default `TRUE`. Whether to plot the vertex points as well.
- xlim
Default`c(0,1)`. A numeric vector of length 2 specifying the x-limits of the plot in the form `c(min, max)`. These are proportional limits relative to the bounding box around the skeleton.
- ylim
Default `c(0,1)`. A numeric vector of length 2 specifying the y-limits of the plot in the form c(min, max). These are proportional limits relative to the bounding box around the skeleton.
- arrow_color
Default `"red"`. Color of the arrows.
- polygon_color
Default `"black"`. Color of the polygon.
- size
Calculated crystals from another source follow >
=====
For Pb4W6O19, DFT lattice parameters and positions (PBE+U) gives the simulated powder diffractogram in this record (Cu Kα X-rays).
Intensities are scaled so that the largest is 100.

Principal peaks in the range 15° ≤ 2θ ≤ 90°, most intense first:
two_theta	I_rel
29.4	100
34.9	57
22.7	53
48.3	50
57.5	27
32.3	21
52.1	21
87.2	19
18.5	17
65.9	17

a = 8.325 Å, b = 8.325 Å, c = 8.325 Å
α = 109.47°, β = 109.47°, γ = 109.47°
Positions (direct):
Pb 0.000 0.000 0.289
Pb 0.000 0.289 0.000
Pb 0.289 0.000 0.000
Pb 0.711 0.711 0.711
W 0.159 0.500 0.659
W 0.341 0.841 0.500
W 0.500 0.341 0.841
W 0.500 0.659 0.159
W 0.659 0.159 0.500
W 0.841 0.500 0.341
O 0.000 0.000 0.000
O 0.000 0.358 0.358
O 0.000 0.642 0.642
O 0.042 0.703 0.340
O 0.297 0.338 0.637
O 0.299 0.662 0.958
O 0.338 0.637 0.297
O 0.340 0.042 0.703
O 0.358 0.000 0.358
O 0.358 0.358 0.000
O 0.363 0.701 0.660
O 0.637 0.297 0.338
O 0.642 0.000 0.642
O 0.642 0.642 0.000
O 0.660 0.363 0.701
O 0.662 0.958 0.299
O 0.701 0.660 0.363
O 0.703 0.340 0.042
O 0.958 0.299 0.662
=====
Default `1`. Size of the vertex points.
- arrow_size
Default `1`. Scales the arrow size.
- highlight_links
Default `NULL`. A numeric vector indicating which links (by their index) to highlight. If specified, the corresponding links will be colored with the `highlight_color`.
- highlight_color
Default `"purple"`. Color of the highlighted links.
- return_layers
Default `FALSE`, plots the figure. If `TRUE`, this will instead return a list of the ggplot layers.
The function uses the `ggplot2` package for plotting. The straight skeleton is visualized based on the details provided in the `skeleton` object. The original polygon and holes are plotted based on attributes stored in the `skeleton` object.
# Assuming skeleton1 is already defined as in the previous example
# Outer polygon
vertices = matrix(c(0,0, 7,0, 7,7, 0,7, 0,0), ncol = 2, byrow = TRUE)
# Holes inside the polygon
hole1 = matrix(c(1,1, 1,2, 2,2, 2,1, 1,1), ncol = 2, byrow = TRUE)
hole2 = matrix(c(5,5, 5,6, 6,6, 6,5, 5,5), ncol = 2, byrow = TRUE)
skeleton = skeletonize(vertices, holes = list(hole1, hole2))
if(run_docs_raybevel()) {
# Skeletonize and plot an {sf} object
if(run_docs_raybevel()) {
us_states = spData::us_states
texas = us_states[us_states$NAME == "Texas",]
# Highlighting certain links in the skeleton
max_links =which(skeleton$links$destination_time == max(skeleton$links$destination_time))
if(run_docs_raybevel()) {
plot_skeleton(skeleton, highlight_links = max_links, highlight_color = "green")